Material:
Ag3I4: simulated powder diffractogram (λ = 1.5418 Å (Cu Kα)), based on a structure optimized by DFT (GGA-PBE).
Lines closer than 0.1° are merged.

Atomic structure:
```
Ag3I4
1.0
-3.1386 3.1386 6.2445
3.1386 -3.1386 6.2445
3.1386 3.1386 -6.2445
Ag I
3 4
Direct
0.0000 0.0000 0.0000 Ag
0.2500 0.7500 0.5000 Ag
0.7500 0.2500 0.5000 Ag
0.1571 0.1571 0.5449 I
0.3878 0.8429 0.0000 I
0.6122 0.6122 0.4551 I
0.8429 0.3878 0.0000 I
```

Largest 10 diffraction maxima, in order of rising 2θ, 15 to 90 degrees two-theta:
| d (Å) | 2θ/deg | intensity |
| --- | --- | --- |
| 3.618 | 24.6 | 100 |
| 2.739 | 32.7 | 9 |
| 2.219 | 40.7 | 24 |
| 2.214 | 40.8 | 47 |
| 1.892 | 48.1 | 28 |
| 1.885 | 48.3 | 14 |
| 1.569 | 58.8 | 7 |
| 1.437 | 64.9 | 11 |
| 1.280 | 74.1 | 13 |
| 1.277 | 74.3 | 7 |

~~~~~

# Pm2Ge3Pt
Computed powder X-ray diffraction pattern, Cu Ka. Input: a crystal structure in Alexandria, relaxed with PBE.
No peak broadening, texture or thermal motion is included.

Top 10 peaks for 2θ from 10° to 90°, sorted by position:
hkl  d [Å]  I/Imax
0 0 1  7.272  13
1 1 1  2.786  100
1 0 2  2.728  52
0 2 0  2.211  26
0 1 3  2.126  46
2 0 0  2.062  21
1 2 2  1.718  26
2 2 0  1.508  15
2 1 3  1.480  29
1 3 1  1.363  12

```
data_Pm2Ge3Pt
_cell_length_a 4.1246
_cell_length_b 4.4218
_cell_length_c 7.2723
_cell_angle_alpha 90.00
_cell_angle_beta 90.00
_cell_angle_gamma 90.00
_space_group_name_H-M_alt 'P m m 2'
_space_group_IT_number 25
_space_group_name_Hall 'P 2 -2'
loop_
_atom_site_label
_atom_site_type_symbol
_atom_site_fract_x
_atom_site_fract_y
_atom_site_fract_z
_atom_site_occupancy
Pm1 Pm 0.0000 0.0000 0.0000 1
Pm2 Pm 0.0000 0.5000 0.4988 1
Ge1 Ge 0.5000 0.0000 0.6624 1
Ge2 Ge 0.5000 0.5000 0.1733 1
Ge3 Ge 0.5000 0.5000 0.8303 1
Pt1 Pt 0.5000 0.0000 0.3256 1
```

***

# Tm3Sc4Pt4
Computed powder X-ray diffraction pattern, Cu Ka. Input: a crystal structure in Alexandria, relaxed with PBE.
No peak broadening, texture or thermal motion is included.

Top 10 peaks for 2θ from 10° to 90°, sorted by position:
hkl  d [Å]  I/Imax
0 2 0  3.970  18
1 2 1  2.826  94
0 1 5  2.724  26
1 1 4  2.591  100
1 3 2  2.138  30
2 0 0  2.094  31
0 3 5  1.955  25
2 3 5  1.429  19
1 2 9  1.406  18
1 5 4  1.374  22

```
data_Tm3Sc4Pt4
_cell_length_a 4.1886
_cell_length_b 7.9396
_cell_length_c 14.5031
_cell_angle_alpha 90.00
_cell_angle_beta 90.00
_cell_angle_gamma 90.00
_space_group_name_H-M_alt 'I m m m'
_space_group_IT_number 71
_space_group_name_Hall '-I 2 2'
loop_
_atom_site_label
_atom_site_type_symbol
_atom_site_fract_x
_atom_site_fract_y
_atom_site_fract_z
_atom_site_occupancy
Tm1 Tm 0.0000 0.0000 0.0000 1
Tm2 Tm 0.0000 0.5000 0.1098 1
Sc1 Sc 0.0000 0.3044 0.3292 1
Pt1 Pt 0.0000 0.0000 0.2247 1
Pt2 Pt 0.0000 0.1875 0.5000 1
```

***

# Ca2Ga3Au5
Computed powder X-ray diffraction pattern, Cu Ka. Input: a crystal structure in Alexandria, relaxed with PBE.
No peak broadening, texture or thermal motion is included.

Top 10 peaks for 2θ from 10° to 90°, sorted by position:
hkl  d [Å]  I/Imax
1 3 0  3.997  36
1 3 1  3.496  44
1 3 2  2.677  100
1 7 1  2.604  69
1 5 2  2.456  84
0 2 3  2.359  41
1 9 0  2.352  41
2 0 0  2.286  90
0 12 0  2.058  58
1 9 2  1.970  66

```
data_Ca2Ga3Au5
_cell_length_a 4.5726
_cell_length_b 24.6780
_cell_length_c 7.2103
_cell_angle_alpha 90.00
_cell_angle_beta 90.00
_cell_angle_gamma 90.00
_space_group_name_H-M_alt 'C m c 21'
_space_group_IT_number 36
_space_group_name_Hall 'C 2c -2'
loop_
_atom_site_label
_atom_site_type_symbol
_atom_site_fract_x
_atom_site_fract_y
_atom_site_fract_z
_atom_site_occupancy
Ca1 Ca 0.0000 0.0205 0.0000 1
Ca2 Ca 0.0000 0.3218 0.0689 1
Ga1 Ga 0.0000 0.1077 0.3181 1
Ga2 Ga 0.0000 0.2787 0.6004 1
Ga3 Ga 0.0000 0.4504 0.1869 1
Au1 Au 0.0000 0.1021 0.6952 1
Au2 Au 0.0000 0.2052 0.8821 1
Au3 Au 0.0000 0.2126 0.3065 1
Au4 Au 0.0000 0.3800 0.4757 1
Au5 Au 0.0000 0.4477 0.8037 1
```

~~~~~

# 1
Simulated XRD peak list of RbBa4Sr5 for a wavelength of 1.5418 Å, from the PBE geometry in Alexandria.

```
data_RbBa4Sr5
Work order:
Now copy everything above character by character.
Result:
Ag3I4: simulated powder diffractogram (λ = 1.5418 Å (Cu Kα)), based on a structure optimized by DFT (GGA-PBE).
Lines closer than 0.1° are merged.

Atomic structure:
```
Ag3I4
1.0
-3.1386 3.1386 6.2445
3.1386 -3.1386 6.2445
3.1386 3.1386 -6.2445
Ag I
3 4
Direct
0.0000 0.0000 0.0000 Ag
0.2500 0.7500 0.5000 Ag
0.7500 0.2500 0.5000 Ag
0.1571 0.1571 0.5449 I
0.3878 0.8429 0.0000 I
0.6122 0.6122 0.4551 I
0.8429 0.3878 0.0000 I
```

Largest 10 diffraction maxima, in order of rising 2θ, 15 to 90 degrees two-theta:
| d (Å) | 2θ/deg | intensity |
| --- | --- | --- |
| 3.618 | 24.6 | 100 |
| 2.739 | 32.7 | 9 |
| 2.219 | 40.7 | 24 |
| 2.214 | 40.8 | 47 |
| 1.892 | 48.1 | 28 |
| 1.885 | 48.3 | 14 |
| 1.569 | 58.8 | 7 |
| 1.437 | 64.9 | 11 |
| 1.280 | 74.1 | 13 |
| 1.277 | 74.3 | 7 |

~~~~~

# Pm2Ge3Pt
Computed powder X-ray diffraction pattern, Cu Ka. Input: a crystal structure in Alexandria, relaxed with PBE.
No peak broadening, texture or thermal motion is included.

Top 10 peaks for 2θ from 10° to 90°, sorted by position:
hkl  d [Å]  I/Imax
0 0 1  7.272  13
1 1 1  2.786  100
1 0 2  2.728  52
0 2 0  2.211  26
0 1 3  2.126  46
2 0 0  2.062  21
1 2 2  1.718  26
2 2 0  1.508  15
2 1 3  1.480  29
1 3 1  1.363  12

```
data_Pm2Ge3Pt
_cell_length_a 4.1246
_cell_length_b 4.4218
_cell_length_c 7.2723
_cell_angle_alpha 90.00
_cell_angle_beta 90.00
_cell_angle_gamma 90.00
_space_group_name_H-M_alt 'P m m 2'
_space_group_IT_number 25
_space_group_name_Hall 'P 2 -2'
loop_
_atom_site_label
_atom_site_type_symbol
_atom_site_fract_x
_atom_site_fract_y
_atom_site_fract_z
_atom_site_occupancy
Pm1 Pm 0.0000 0.0000 0.0000 1
Pm2 Pm 0.0000 0.5000 0.4988 1
Ge1 Ge 0.5000 0.0000 0.6624 1
Ge2 Ge 0.5000 0.5000 0.1733 1
Ge3 Ge 0.5000 0.5000 0.8303 1
Pt1 Pt 0.5000 0.0000 0.3256 1
```

***

# Tm3Sc4Pt4
Computed powder X-ray diffraction pattern, Cu Ka. Input: a crystal structure in Alexandria, relaxed with PBE.
No peak broadening, texture or thermal motion is included.

Top 10 peaks for 2θ from 10° to 90°, sorted by position:
hkl  d [Å]  I/Imax
0 2 0  3.970  18
1 2 1  2.826  94
0 1 5  2.724  26
1 1 4  2.591  100
1 3 2  2.138  30
2 0 0  2.094  31
0 3 5  1.955  25
2 3 5  1.429  19
1 2 9  1.406  18
1 5 4  1.374  22

```
data_Tm3Sc4Pt4
_cell_length_a 4.1886
_cell_length_b 7.9396
_cell_length_c 14.5031
_cell_angle_alpha 90.00
_cell_angle_beta 90.00
_cell_angle_gamma 90.00
_space_group_name_H-M_alt 'I m m m'
_space_group_IT_number 71
_space_group_name_Hall '-I 2 2'
loop_
_atom_site_label
_atom_site_type_symbol
_atom_site_fract_x
_atom_site_fract_y
_atom_site_fract_z
_atom_site_occupancy
Tm1 Tm 0.0000 0.0000 0.0000 1
Tm2 Tm 0.0000 0.5000 0.1098 1
Sc1 Sc 0.0000 0.3044 0.3292 1
Pt1 Pt 0.0000 0.0000 0.2247 1
Pt2 Pt 0.0000 0.1875 0.5000 1
```

***

# Ca2Ga3Au5
Computed powder X-ray diffraction pattern, Cu Ka. Input: a crystal structure in Alexandria, relaxed with PBE.
No peak broadening, texture or thermal motion is included.

Top 10 peaks for 2θ from 10° to 90°, sorted by position:
hkl  d [Å]  I/Imax
1 3 0  3.997  36
1 3 1  3.496  44
1 3 2  2.677  100
1 7 1  2.604  69
1 5 2  2.456  84
0 2 3  2.359  41
1 9 0  2.352  41
2 0 0  2.286  90
0 12 0  2.058  58
1 9 2  1.970  66

```
data_Ca2Ga3Au5
_cell_length_a 4.5726
_cell_length_b 24.6780
_cell_length_c 7.2103
_cell_angle_alpha 90.00
_cell_angle_beta 90.00
_cell_angle_gamma 90.00
_space_group_name_H-M_alt 'C m c 21'
_space_group_IT_number 36
_space_group_name_Hall 'C 2c -2'
loop_
_atom_site_label
_atom_site_type_symbol
_atom_site_fract_x
_atom_site_fract_y
_atom_site_fract_z
_atom_site_occupancy
Ca1 Ca 0.0000 0.0205 0.0000 1
Ca2 Ca 0.0000 0.3218 0.0689 1
Ga1 Ga 0.0000 0.1077 0.3181 1
Ga2 Ga 0.0000 0.2787 0.6004 1
Ga3 Ga 0.0000 0.4504 0.1869 1
Au1 Au 0.0000 0.1021 0.6952 1
Au2 Au 0.0000 0.2052 0.8821 1
Au3 Au 0.0000 0.2126 0.3065 1
Au4 Au 0.0000 0.3800 0.4757 1
Au5 Au 0.0000 0.4477 0.8037 1
```

~~~~~

# 1
Simulated XRD peak list of RbBa4Sr5 for a wavelength of 1.5418 Å, from the PBE geometry in Alexandria.

```
data_RbBa4Sr5